Listing:
____________
Arrangement P

Density functional theory data (wB97M-V/def2-TZVPD) for 2 unconnected molecules or ions with the total composition C5H14N2O.

Geometry as ORCA input:
```
! wB97M-V def2-TZVPD RIJCOSX def2/J DEFGRID3
* xyz 0 1
H -0.4664 -2.5447 1.6430
N 0.2584 -2.6294 0.9233
C 0.6742 -1.4219 0.5972
C 1.7839 -1.3569 -0.4269
H 0.8259 -0.6623 1.4160
H 1.5997 -2.0835 -1.2206
H 2.7354 -1.5896 0.0531
H 1.8470 -0.3618 -0.8686
C 0.7313 2.1420 0.2757
C -0.6277 1.5732 0.5775
N -0.8688 -0.0925 -0.0249
C -1.1695 -0.2712 -1.4507
O -2.0718 -0.5582 0.6304
H 1.0260 1.9732 -0.7630
H 0.7259 3.2273 0.4430
H 1.4926 1.7181 0.9362
H -0.8515 1.6028 1.6444
H -1.4302 2.0791 0.0414
H -0.3128 0.0449 -2.0487
H -2.0477 0.3126 -1.7390
H -1.3738 -1.3201 -1.6826
H -2.4802 0.2189 1.0440
*
```

The LUMO energy is 0.63 eV. The SMILES is [H]/N=C/C.CCN(C)O. Its gap between HOMO and LUMO is 8.452 eV.

***

Arrangement Q

Density functional theory data (wB97M-V/def2-TZVPD) for 2 unconnected molecules or ions with the total composition C5H14N2O.

Geometry as ORCA input:
```
! wB97M-V def2-TZVPD RIJCOSX def2/J DEFGRID3
* xyz 0 1
C -0.8055 -0.7978 -2.5059
N -0.1244 0.0172 -1.5190
C -0.0203 1.3660 -1.6769
C 0.7165 2.0889 -0.5692
O -0.4960 1.9370 -2.6538
H -0.7740 -1.8526 -2.1849
H -0.3168 -0.7153 -3.4913
H -1.8604 -0.4929 -2.6097
H 0.2855 -0.4216 -0.6907
H 1.7539 1.7248 -0.4811
H 0.7405 3.1674 -0.7992
H 0.2104 1.9471 0.4005
C -1.0004 -0.4417 2.1184
C 0.5129 -0.5876 2.1521
N 0.9641 -1.3433 0.9768
H -1.3101 0.0605 1.1865
H -1.3535 0.1569 2.9748
H -1.4815 -1.4334 2.1602
H 0.9816 0.4139 2.0994
H 0.8144 -1.0503 3.1115
H 1.9845 -1.4496 0.9913
H 0.5786 -2.2936 1.0104
*
```

The LUMO energy is 0.76 eV. The SMILES is CNC(C)=O.CCN. Its gap between HOMO and LUMO is 9.878 eV.

***

Arrangement R

Density functional theory data (wB97M-V/def2-TZVPD) for 2 unconnected molecules or ions with the total composition C5H14N2O.

Geometry as ORCA input:
```
! wB97M-V def2-TZVPD RIJCOSX def2/J DEFGRID3
* xyz 0 1
C 0.9282 1.6161 0.0647
C 0.0709 0.6569 -0.6643
C 0.5631 -0.1694 -1.6262
N 1.7662 0.2400 -2.2669
C -1.3272 0.5763 -0.2550
C -1.3201 0.0500 1.2160
N -2.5557 -0.7350 1.7054
H 1.1275 2.4936 -0.5985
H 2.0309 1.4215 -0.0156
H 0.6237 1.9535 1.1347
H 0.0268 -1.0154 -1.9889
H 2.1806 -0.3090 -2.8875
H 2.0346 1.1133 -2.3452
H -1.8514 -0.1108 -0.9410
H -1.8814 1.5156 -0.1817
H -0.5229 -0.5818 1.3860
H -1.2782 0.9322 1.7386
H -2.9987 -0.0004 2.3680
H -3.2358 -0.8054 0.9042
O 1.4841 -1.9607 1.3747
H 1.7324 -1.2563 0.7778
H 2.1758 -2.5795 1.1705
*
```

The LUMO energy is 0.80 eV. The SMILES is C/C(=C\N)CCN.O. Its gap between HOMO and LUMO is 8.451 eV.

***

Winner for stability: arrangement Q

***

Arrangement P

Density functional theory data (wB97M-V/def2-TZVPD) for a molecular structure, C5H14N2O.

Geometry as ORCA input:
```
! wB97M-V def2-TZVPD RIJCOSX def2/J DEFGRID3
* xyz 0 1
C 0.6702 0.2263 0.1024
C -0.8159 1.0463 -2.1286
C 0.0619 -1.1683 0.2898
C 0.9171 0.9292 1.4327
C 1.9184 0.2301 -0.7579
N -1.3981 -0.7568 0.2230
N -2.2818 -1.0381 1.3075
O -1.1008 -0.0595 -2.5550
H -1.8329 -1.0672 -0.6431
H -0.7908 0.4068 -0.0676
H -1.9487 -0.5204 2.1145
H -2.2401 -2.0289 1.5384
H -1.5463 1.6707 -1.5855
H 0.1268 1.5495 -2.3875
H 0.2861 -1.8275 -0.5506
H 0.2506 -1.6506 1.2561
H 0.0205 0.9603 2.0598
H 1.7119 0.4411 2.0176
H 1.2207 1.9654 1.2692
H 2.7598 -0.2768 -0.2628
H 2.2523 1.2502 -0.9628
H 1.7590 -0.2818 -1.7095
*
```

The LUMO energy is 0.83 eV. Its gap between HOMO and LUMO is 8.417 eV.

***

Arrangement Q

Density functional theory data (wB97M-V/def2-TZVPD) for a molecular structure, C5H14N2O.

Geometry as ORCA input:
```
! wB97M-V def2-TZVPD RIJCOSX def2/J DEFGRID3
* xyz 0 1
C -0.6102 -1.3549 0.9510
C -1.3476 -0.0718 1.2255
C 1.2143 -1.0099 1.4093
N -0.7634 -1.8274 -0.3337
H -0.7938 -2.1370 1.6877
H -0.2510 -2.6744 -0.5398
H -0.6441 -1.1167 -1.0593
H -1.2619 0.2036 2.2736
H -0.9545 0.7324 0.6051
H -2.4071 -0.2069 0.9994
H 1.6984 -1.9766 1.2604
H 1.8427 -0.1213 1.3251
H 1.0388 -0.9415 2.4842
____________

Assignment:
Your job: count the lines earlier on that contain the word "Geometry" and give the number alone.

Completed:
5